The list of people I admire is long.
But my list of heroes is a short one.
For me, hero is a special term reserved for people who are extraordinary souls. Some, like my father and grandfather, are quiet heroes. Others are giants who have changed our world or at least tried to.
Martin Luther King Jr., is a hero of mine. And millions of others too. Today we celebrate his legacy on what would have been his 90th birthday.
MLK’s message and his mission are both timeless and important. The issues he devoted and gave his life for –are still front burner in our society. Depending on how you look at it, that’s either depressing or inspiring, maybe a little of both.
We have undoubtedly made progress in the 51 years since MLK was taken—violently—from us. But we still wrestle with racism, hatred, violence, inequality, opportunity, education, health care, discrimination and a host of other ills.
Perhaps that’s the human condition—maybe as imperfect beings we never quite reach the Promised Land or achieve the dream—but it would sure be nice to slay a problem or two.
It would sure be nice to say ‘remember those days when people couldn’t afford health insurance?’ or ‘could you believe that there were once homeless people in America.’
We are a long way from the Promised Land.
In so many ways we are stuck.
Stuck with old ways of thinking, stuck with old biases and stuck in an endless battle with the other team, side, party—you name it.
I don’t hear a lot about what unites us these days. I do hear the endless cacophony of what divides us and it’s like fingernails on a blackboard.
Liberal elites, snowflakes, crazy conservatives, Trumpers—labels that divide.
Our leaders are not uniting us so therefore they are not leaders. They are combatants locked in an endless battle that will never end, can never end and it is doing tremendous damage to our nation and our standing in the world.
I am not suggesting that people give up their principles and pretend to get along but I am suggesting that the way we “debate” in this country is ruinous. We are not getting anywhere; the shutdown is a good example. We are willing to risk our economic growth, screw up airports (more than they already are), deny 800,000 families paychecks (not to mention thousands of contractors), hurt our farmers and destroy morale because our “leaders” have failed to come up with a coherent and comprehensive immigration policy for our country. Ironic, since we are a nation of immigrants.
On this MLK Day, a day when we are called to reflect and act on Dr. King’s dream we ought to look beyond Washington to our local communities as well.
Here, on the ground, we also see plenty of division in our communities over issues large and small.
Look no further than the future of the West Atlantic corridor to see the divide.
<<<
[1]
{
  "formula": "CaZn6GaCu",
  "functional": "PBE",
  "state": "optimized geometry",
  "cell": [[-3.396, 4.490, 5.490], [3.396, -4.490, 5.490], [3.396, 4.490, -5.490]],
  "species": ["Ca", "Ca", "Zn", "Zn", "Zn", "Zn", "Zn", "Zn", "Zn", "Zn", "Zn", "Zn", "Zn", "Zn", "Ga", "Ga", "Cu", "Cu"],
  "frac_coords": [[0.450, 0.200, 0.250], [0.550, 0.800, 0.750], [0.126, 0.433, 0.311], [0.126, 0.815, 0.693], [0.174, 0.924, 0.250], [0.243, 0.493, 0.750], [0.378, 0.185, 0.811], [0.378, 0.567, 0.193], [0.622, 0.433, 0.807], [0.622, 0.815, 0.189], [0.757, 0.507, 0.250], [0.826, 0.076, 0.750], [0.874, 0.185, 0.307], [0.874, 0.567, 0.689], [0.000, 0.000, 0.500], [0.000, 0.500, 0.000], [0.000, 0.000, 0.000], [0.500, 0.000, 0.500]],
  "spacegroup": "No. 74",
  "m_tot_mub_per_cell": 0.0,
  "ef_mev_per_atom": 17,
  "vol_a3_per_cell": 335
}

***

[2]
{
  "formula": "AlFeRh2",
  "functional": "PBE",
  "state": "optimized geometry",
  "cell": [[2.963, 0.000, 0.000], [0.000, 2.963, 0.000], [0.000, 0.000, 6.200]],
  "species": ["Al", "Fe", "Rh", "Rh"],
  "frac_coords": [[0.000, 0.000, 0.000], [0.500, 0.500, 0.244], [0.000, 0.000, 0.469], [0.500, 0.500, 0.774]],
  "spacegroup": "No. 99",
  "m_tot_mub_per_cell": 3.5,
  "ef_mev_per_atom": -314,
  "vol_a3_per_cell": 54
}
>>>
Thanks to years of work, the Delray CRA has amassed enough property to do an impactful project on the gateway of our city. There’s pressure to get it right and pressure is good because it should serve to focus the powers that be on the opportunity and the possibilities. But I sense some distrust in the process and while that may be inevitable, leaders need to recognize that distrust and face it head on.
It’s a teachable moment. Leaders wait for these moments. They are a chance to engage the community, dispel rumors, gather input and anchor the project to a bigger vision. If that opportunity is seized and we choose a good project it will build trust and community pride. If that opportunity is lost, the opposite happens.
MLK is a hero of mine because he exuded hope in a better future. That’s leadership—instilling fear is not leadership. Fear is easy to stir, but hope is real. It’s fuel—fuel to build a better world as MLK envisioned all those years ago.